## Work order
Work out how many lines further below have the word "Si" in them; a number is enough.

## Contents
No. 1
Molecular formula: C27H49NO2P2Re
Method: DFT, wB97M-V/def2-TZVPD

Its charge is +4. The value obtained for the energy is -2022.7131 Ha. Its orbital gap (spin up / spin down) is 7.39 / 3.96 eV. The value obtained for the energy above the lowest of the compared OMol25 structures with the same formula, charge and spin is 0.0 kJ/mol. Its multiplicity is 4. As for the expectation value of S²: 3.81.

Atoms and positions in Å:
1 Re -0.069 0.111 0.068
2 P -2.415 -0.175 -0.097
3 P 2.185 0.707 0.227
4 O -0.426 0.787 3.121
5 O 0.043 -0.578 -2.980
6 N 0.301 -1.691 0.404
7 C 2.022 2.576 0.211
8 C 1.241 -4.944 -0.378
9 C -0.011 -0.235 -1.864
10 C -0.308 0.577 1.975
11 C 1.414 -4.615 2.055
12 C 0.788 2.847 -0.657
13 C 4.585 1.014 1.745
14 C 3.683 -1.031 -1.366
15 C -3.255 1.458 -0.440
16 C -2.816 2.058 -1.778
17 C -3.296 -0.717 1.456
18 C -4.828 -0.678 1.421
19 C 3.177 0.401 1.774
20 C -2.670 -2.686 -1.355
21 C 3.229 -1.078 2.158
22 C -3.044 -1.212 -1.522
23 C 3.441 0.458 -1.133
24 C 3.097 1.170 -2.445
25 C -2.821 -2.089 1.942
26 C 1.069 -4.111 0.764
27 C -4.527 -1.072 -1.892
28 C 1.802 -6.199 -0.221
29 C 2.183 -6.683 1.027
30 C 0.572 -2.827 0.575
31 C 1.979 -5.885 2.157
32 C -3.079 2.448 0.713
33 C 1.927 3.225 1.602
34 H 4.597 2.063 1.432
35 H -1.620 -2.826 -1.066
36 H 0.344 3.799 -0.374
37 H 0.942 -4.558 -1.360
38 H -3.529 2.095 1.647
39 H 2.584 0.923 2.547
40 H 1.949 -6.807 -1.118
41 H -3.197 -2.902 1.309
42 H -2.020 2.653 0.915
43 H -5.189 -1.525 -1.145
44 H 4.990 0.973 2.766
45 H -5.239 0.261 1.036
46 H -1.730 -2.162 1.999
47 H -2.818 -3.182 -2.325
48 H -3.309 -3.193 -0.623
49 H -0.051 2.096 -0.466
50 H -4.323 1.192 -0.509
51 H 5.268 0.446 1.101
52 H -3.545 3.404 0.441
53 H -1.580 4.461 0.042
54 H -3.371 2.993 -1.942
55 H 1.182 2.727 2.243
56 H 3.894 0.957 -3.170
57 H -5.252 -1.516 0.854
58 H -2.952 0.041 2.186
59 H 1.611 4.271 1.478
60 H 4.362 0.916 -0.733
61 H 2.228 -1.507 2.273
62 H 2.750 -1.543 -1.637
63 H -1.746 2.309 -1.782
64 H 2.942 2.934 -0.287
65 H 1.003 2.845 -1.737
66 H -4.836 -0.037 -2.063
67 H 3.035 2.257 -2.338
68 H 4.388 -1.160 -2.198
69 H 2.155 0.795 -2.863
70 H 3.779 -1.685 1.432
71 H -5.172 -0.779 2.460
72 H -3.008 1.389 -2.624
73 H 3.744 -1.164 3.125
74 H -2.457 -0.809 -2.368
75 H 2.277 -6.259 3.133
76 H -3.224 -2.238 2.955
77 H 1.250 -4.002 2.947
78 H 2.631 -7.656 1.123
79 H -4.674 -1.614 -2.837
80 H -0.870 4.641 0.199
81 H 4.110 -1.534 -0.493
82 H 2.886 3.226 2.132

***

No. 2
Molecular formula: C36H48ClN7O3SSe2SiTc
Method: DFT, wB97M-V/def2-TZVPD

Its charge is +2. The value obtained for the energy is -8040.9423 Ha. Its orbital gap (spin up / spin down) is 5.90 / 4.97 eV. Its multiplicity is 4. As for the expectation value of S²: 3.79.

Atoms and positions in Å:
1 Tc -0.062 2.168 -0.584
2 Se -6.164 5.122 2.913
3 Se 2.435 -0.345 1.873
4 Cl 0.712 5.213 0.250
5 S 0.490 1.481 -2.738
6 Si -0.357 -0.517 -2.527
7 O -1.721 -0.600 -3.364
8 O -0.738 -0.311 -0.931
9 O 0.663 -1.690 -2.880
10 N -4.547 4.726 3.467
11 N 1.863 2.213 -0.083
12 N 1.217 -1.644 4.073
13 N -5.907 4.446 1.315
14 N -0.732 2.632 1.371
15 N -2.106 2.423 -0.887
16 N 3.069 -2.625 3.496
17 C 2.814 -1.365 -1.808
18 C 1.164 -4.178 6.790
19 C -0.499 -2.464 0.181
20 C 4.717 2.696 1.860
21 C -0.477 3.239 3.660
22 C -2.553 3.669 2.551
23 C -3.488 -0.560 -4.949
24 C 0.657 -3.106 6.076
25 C -1.805 -2.415 -4.970
26 C 2.350 -4.813 6.413
27 C -2.761 2.968 0.173
28 C -4.127 2.567 -2.153
29 C -2.749 -1.683 -0.641
30 C 3.079 -4.394 5.314
31 C 0.002 2.686 2.481
32 C 2.273 -3.412 -3.153
33 C 4.301 -2.950 2.810
34 C -4.097 3.363 0.100
35 C 2.243 -1.607 3.194
36 C 2.554 -1.210 -4.306
37 C 0.195 4.224 -1.126
38 C -2.787 2.228 -2.018
39 C 2.579 -3.311 4.606
40 C -2.024 -0.923 -4.753
41 C 4.274 3.007 0.420
42 C -2.001 3.102 1.401
43 C 2.089 -1.906 -3.033
44 C -1.410 -1.262 -0.043
45 C -4.683 3.982 1.270
46 C -4.790 3.155 -1.099
47 C 2.932 2.564 0.142
48 C -1.633 -0.526 1.272
49 C -1.131 -0.090 -5.662
50 C 1.391 -2.683 4.979
51 C -1.759 3.749 3.699
52 C -3.918 4.140 2.478

## Response
1